**Entries:**
(1)
# PBE SrZrAsRu2, optimized geometry
# Energy (Ry/atom): -0.4510
# ΔE_f (eV per formula unit): 2.8
# Magnetization (μB/cell): 0.00
# SG: P4/mmm
data_SrZrAsRu2
_chemical_formula_sum 'Sr1 Zr1 As1 Ru2'
_space_group_name_H-M_alt 'P 1'
_space_group_IT_number 1
_cell_length_a 4.868
_cell_length_b 5.280
_cell_length_c 4.868
_cell_angle_alpha 90.00
_cell_angle_beta 90.00
_cell_angle_gamma 90.00
loop_
_space_group_symop_operation_xyz
'x,y,z'
loop_
_atom_site_label
_atom_site_fract_x
_atom_site_fract_y
_atom_site_fract_z
As1 0.000 0.500 0.000
Sr1 0.500 0.500 0.500
Ru1 0.500 0.000 0.000
Zr1 0.000 0.000 0.000
Ru2 0.000 0.000 0.500

(2)
# PBE TaAsRu3, optimized geometry
# Energy (Ry/atom): -0.5915
# ΔE_f (eV per formula unit): 4.1
# Energy relative to the lowest polymorph listed for this composition (kcal/mol of atoms): 0.00
# Magnetization (μB/cell): 0.00
# SG: Pm-3m
data_TaAsRu3
_chemical_formula_sum 'Ta1 As1 Ru3'
_space_group_name_H-M_alt 'P 1'
_space_group_IT_number 1
_cell_length_a 4.444
_cell_length_b 4.444
_cell_length_c 4.444
_cell_angle_alpha 90.00
_cell_angle_beta 90.00
_cell_angle_gamma 90.00
loop_
_space_group_symop_operation_xyz
'x,y,z'
loop_
_atom_site_label
_atom_site_fract_x
_atom_site_fract_y
_atom_site_fract_z
Ru1 0.500 0.000 0.000
As1 0.000 0.000 0.000
Ta1 0.500 0.500 0.500
Ru2 0.000 0.000 0.500
Ru3 0.000 0.500 0.000

(3)
# PBE Ta2As2Ru, optimized geometry
# Energy (Ry/atom): -0.6286
# ΔE_f (eV per formula unit): -0.5
# Magnetization (μB/cell): 0.00
# SG: P4/mbm
data_Ta2As2Ru
_chemical_formula_sum 'Ta4 As4 Ru2'
_space_group_name_H-M_alt 'P 1'
_space_group_IT_number 1
_cell_length_a 6.976
_cell_length_b 6.976
_cell_length_c 3.374
_cell_angle_alpha 90.00
_cell_angle_beta 90.00
_cell_angle_gamma 90.00
loop_
_space_group_symop_operation_xyz
'x,y,z'
loop_
_atom_site_label
_atom_site_fract_x
_atom_site_fract_y
_atom_site_fract_z
Ta1 0.854 0.354 0.500
As1 0.347 0.847 0.000
As2 0.153 0.347 0.000
As3 0.847 0.653 0.000
As4 0.653 0.153 0.000
Ta2 0.146 0.646 0.500
Ta3 0.646 0.854 0.500
Ta4 0.354 0.146 0.500
Ru1 0.500 0.500 0.000
Ru2 0.000 0.000 0.000

(4)
# PBE TaAsRu2, optimized geometry
# Energy (Ry/atom): -0.6471
# ΔE_f (eV per formula unit): -0.2
# Magnetization (μB/cell): 0.00
# SG: P4mm
data_TaAsRu2
_chemical_formula_sum 'Ta1 As1 Ru2'
_space_group_name_H-M_alt 'P 1'
_space_group_IT_number 1
_cell_length_a 2.957
_cell_length_b 2.957
_cell_length_c 6.937
_cell_angle_alpha 90.00
_cell_angle_beta 90.00
_cell_angle_gamma 90.00
loop_
_space_group_symop_operation_xyz
'x,y,z'
loop_
_atom_site_label
_atom_site_fract_x
_atom_site_fract_y
_atom_site_fract_z
Ta1 0.000 0.000 0.507
Ru1 0.500 0.500 0.240
Ru2 0.000 0.000 0.983
As1 0.500 0.500 0.769

(5)
# PBE TaAsRu2, optimized geometry
# Energy (Ry/atom): -0.6363
# ΔE_f (eV per formula unit): 0.4
# Magnetization (μB/cell): 0.00
# SG: Cmmm
data_TaAsRu2
_chemical_formula_sum 'Ta1 As1 Ru2'
_space_group_name_H-M_alt 'P 1'
_space_group_IT_number 1
_cell_length_a 2.899
_cell_length_b 2.899
_cell_length_c 8.333
_cell_angle_alpha 90.00
_cell_angle_beta 90.00
_cell_angle_gamma 114.40
loop_
_space_group_symop_operation_xyz
'x,y,z'
loop_
_atom_site_label
_atom_site_fract_x
_atom_site_fract_y
_atom_site_fract_z
Ru1 0.000 0.000 0.999
Ru2 0.000 0.000 0.501
Ta1 0.500 0.500 0.250
As1 0.500 0.500 0.750

(6)
# PBE TaAsRu2, optimized geometry
# Energy (Ry/atom): -0.6529
# ΔE_f (eV per formula unit): -0.5
# Magnetization (μB/cell): 0.00
# SG: Amm2
data_TaAsRu2
_chemical_formula_sum 'Ta1 As1 Ru2'
_space_group_name_H-M_alt 'P 1'
_space_group_IT_number 1
_cell_length_a 4.134
_cell_length_b 2.873
_cell_length_c 5.346
_cell_angle_alpha 74.41
_cell_angle_beta 90.00
_cell_angle_gamma 90.00
loop_
_space_group_symop_operation_xyz
'x,y,z'
loop_
_atom_site_label
_atom_site_fract_x
_atom_site_fract_y
_atom_site_fract_z
Ru1 0.000 0.812 0.000
Ta1 0.000 0.559 0.508
Ru2 0.500 0.189 0.247
As1 0.500 0.940 0.745

(7)
# PBE TaAsRu2, optimized geometry
# Energy (Ry/atom): -0.6530
# ΔE_f (eV per formula unit): -0.5

**To do:**
Now copy only the last part of the listing further up, starting with the line that has "_cell_length_c 4.868".

**Written answer:**
_cell_length_c 4.868
_cell_angle_alpha 90.00
_cell_angle_beta 90.00
_cell_angle_gamma 90.00
loop_
_space_group_symop_operation_xyz
'x,y,z'
loop_
_atom_site_label
_atom_site_fract_x
_atom_site_fract_y
_atom_site_fract_z
As1 0.000 0.500 0.000
Sr1 0.500 0.500 0.500
Ru1 0.500 0.000 0.000
Zr1 0.000 0.000 0.000
Ru2 0.000 0.000 0.500

(2)
# PBE TaAsRu3, optimized geometry
# Energy (Ry/atom): -0.5915
# ΔE_f (eV per formula unit): 4.1
# Energy relative to the lowest polymorph listed for this composition (kcal/mol of atoms): 0.00
# Magnetization (μB/cell): 0.00
# SG: Pm-3m
data_TaAsRu3
_chemical_formula_sum 'Ta1 As1 Ru3'
_space_group_name_H-M_alt 'P 1'
_space_group_IT_number 1
_cell_length_a 4.444
_cell_length_b 4.444
_cell_length_c 4.444
_cell_angle_alpha 90.00
_cell_angle_beta 90.00
_cell_angle_gamma 90.00
loop_
_space_group_symop_operation_xyz
'x,y,z'
loop_
_atom_site_label
_atom_site_fract_x
_atom_site_fract_y
_atom_site_fract_z
Ru1 0.500 0.000 0.000
As1 0.000 0.000 0.000
Ta1 0.500 0.500 0.500
Ru2 0.000 0.000 0.500
Ru3 0.000 0.500 0.000

(3)
# PBE Ta2As2Ru, optimized geometry
# Energy (Ry/atom): -0.6286
# ΔE_f (eV per formula unit): -0.5
# Magnetization (μB/cell): 0.00
# SG: P4/mbm
data_Ta2As2Ru
_chemical_formula_sum 'Ta4 As4 Ru2'
_space_group_name_H-M_alt 'P 1'
_space_group_IT_number 1
_cell_length_a 6.976
_cell_length_b 6.976
_cell_length_c 3.374
_cell_angle_alpha 90.00
_cell_angle_beta 90.00
_cell_angle_gamma 90.00
loop_
_space_group_symop_operation_xyz
'x,y,z'
loop_
_atom_site_label
_atom_site_fract_x
_atom_site_fract_y
_atom_site_fract_z
Ta1 0.854 0.354 0.500
As1 0.347 0.847 0.000
As2 0.153 0.347 0.000
As3 0.847 0.653 0.000
As4 0.653 0.153 0.000
Ta2 0.146 0.646 0.500
Ta3 0.646 0.854 0.500
Ta4 0.354 0.146 0.500
Ru1 0.500 0.500 0.000
Ru2 0.000 0.000 0.000

(4)
# PBE TaAsRu2, optimized geometry
# Energy (Ry/atom): -0.6471
# ΔE_f (eV per formula unit): -0.2
# Magnetization (μB/cell): 0.00
# SG: P4mm
data_TaAsRu2
_chemical_formula_sum 'Ta1 As1 Ru2'
_space_group_name_H-M_alt 'P 1'
_space_group_IT_number 1
_cell_length_a 2.957
_cell_length_b 2.957
_cell_length_c 6.937
_cell_angle_alpha 90.00
_cell_angle_beta 90.00
_cell_angle_gamma 90.00
loop_
_space_group_symop_operation_xyz
'x,y,z'
loop_
_atom_site_label
_atom_site_fract_x
_atom_site_fract_y
_atom_site_fract_z
Ta1 0.000 0.000 0.507
Ru1 0.500 0.500 0.240
Ru2 0.000 0.000 0.983
As1 0.500 0.500 0.769

(5)
# PBE TaAsRu2, optimized geometry
# Energy (Ry/atom): -0.6363
# ΔE_f (eV per formula unit): 0.4
# Magnetization (μB/cell): 0.00
# SG: Cmmm
data_TaAsRu2
_chemical_formula_sum 'Ta1 As1 Ru2'
_space_group_name_H-M_alt 'P 1'
_space_group_IT_number 1
_cell_length_a 2.899
_cell_length_b 2.899
_cell_length_c 8.333
_cell_angle_alpha 90.00
_cell_angle_beta 90.00
_cell_angle_gamma 114.40
loop_
_space_group_symop_operation_xyz
'x,y,z'
loop_
_atom_site_label
_atom_site_fract_x
_atom_site_fract_y
_atom_site_fract_z
Ru1 0.000 0.000 0.999
Ru2 0.000 0.000 0.501
Ta1 0.500 0.500 0.250
As1 0.500 0.500 0.750

(6)
# PBE TaAsRu2, optimized geometry
# Energy (Ry/atom): -0.6529
# ΔE_f (eV per formula unit): -0.5
# Magnetization (μB/cell): 0.00
# SG: Amm2
data_TaAsRu2
_chemical_formula_sum 'Ta1 As1 Ru2'
_space_group_name_H-M_alt 'P 1'
_space_group_IT_number 1
_cell_length_a 4.134
_cell_length_b 2.873
_cell_length_c 5.346
_cell_angle_alpha 74.41
_cell_angle_beta 90.00
_cell_angle_gamma 90.00
loop_
_space_group_symop_operation_xyz
'x,y,z'
loop_
_atom_site_label
_atom_site_fract_x
_atom_site_fract_y
_atom_site_fract_z
Ru1 0.000 0.812 0.000
Ta1 0.000 0.559 0.508
Ru2 0.500 0.189 0.247
As1 0.500 0.940 0.745

(7)
# PBE TaAsRu2, optimized geometry
# Energy (Ry/atom): -0.6530
# ΔE_f (eV per formula unit): -0.5